Give back all of the data underneath without additions.
<<<
Ba5Na4Ni | PBE | optimized geometry

Calculated values
Energy of formation   0.14 eV per formula unit

The structure in CIF format:
```
data_Ba5Na4Ni
_chemical_formula_sum 'Ba10 Na8 Ni2'
_cell_length_a 12.6725
_cell_length_b 12.6725
_cell_length_c 6.1328
_cell_angle_alpha 90.00
_cell_angle_beta 90.00
_cell_angle_gamma 90.00
_space_group_name_H-M_alt 'I 4/m m m'
_space_group_IT_number 139
_space_group_name_Hall '-I 4 2'
loop_
_atom_site_label
_atom_site_fract_x
_atom_site_fract_y
_atom_site_fract_z
Ba1 0.0000 0.0000 0.0000
Ba2 0.1689 0.1689 0.5000
Na1 0.0000 0.3478 0.0000
Ni1 0.0000 0.0000 0.5000
```

----------

Version a
Compound: Mg2HOs
Source: Alexandria
Functional: GGA-PBE
Structure: optimized geometry

a = 8.5300 Å, b = 4.3644 Å, c = 2.8884 Å
α = 90.00°, β = 98.33°, γ = 90.00°
Last column: nearest neighbours and their distance in Å.
Space group Cm (No. 8)
Unique sites:
Mg (0.0000, 0.0000, 0.0000) [2 per cell]  1 H 2.17
Mg (0.1805, 0.5000, 0.6445) [2 per cell]  2 H 2.25
H (0.2330, 0.0000, 0.7817) [2 per cell]  2 Os 1.78
Os (0.3555, 0.0000, 0.3337) [2 per cell]  2 H 1.78

Properties
Density of states at the Fermi level, states/eV per cell: 4.9

=====

Version b
Compound: Mg2HOs
Source: Alexandria
Functional: GGA-PBE
Structure: optimized geometry

a = 4.7137 Å, b = 5.3750 Å, c = 5.5000 Å
α = 63.82°, β = 66.26°, γ = 64.95°
Last column: nearest neighbours and their distance in Å.
Space group P1 (No. 1)
Unique sites:
Mg (0.0000, 0.0000, 0.0000) [1 per cell]  2 H 2.04-2.25
Mg (0.0898, 0.4383, 0.4601) [1 per cell]  2 H 2.15-2.33
Mg (0.3876, 0.8077, 0.4765) [1 per cell]  2 H 2.36-2.57
Mg (0.7108, 0.6221, 0.9557) [1 per cell]  2 H 2.13-2.18
H (0.0179, 0.2722, 0.2060) [1 per cell]  2 Os 1.79-1.85
H (0.2549, 0.5952, 0.9707) [1 per cell]  1 Os 1.70
Os (0.4116, 0.2616, 0.9340) [1 per cell]  2 H 1.70-1.85
Os (0.7070, 0.1399, 0.4986) [1 per cell]  1 H 1.79

Properties
Density of states at the Fermi level, states/eV per cell: 0.7

=====

Which one sits at the top of the stability order? version b does.

=====

Version a
Compound: KCrTc2
Source: Alexandria
Functional: GGA-PBE
Structure: optimized geometry

a = 6.3178 Å, b = 6.3178 Å, c = 6.3178 Å
α = 90.00°, β = 90.00°, γ = 90.00°
Last column: nearest neighbours and their distance in Å.
Space group Fm-3m (No. 225)
Unique sites:
K (0.0000, 0.0000, 0.0000) [4 per cell]  8 Tc 2.74
Cr (0.0000, 0.0000, 0.5000) [4 per cell]  8 Tc 2.74
Tc (0.2500, 0.2500, 0.2500) [8 per cell]  4 Cr 2.74, 4 K 2.74

Properties
Density of states at the Fermi level, states/eV per cell: 23.9

=====

Version b
Compound: KCrTc2
Source: Alexandria
Functional: GGA-PBE
Structure: optimized geometry

a = 4.9868 Å, b = 4.9868 Å, c = 15.8181 Å
α = 90.00°, β = 90.00°, γ = 90.00°
Last column: nearest neighbours and their distance in Å.
Space group I4_1/amd (No. 141, origin choice 2)
Unique sites:
K (0.0000, 0.2500, 0.3750) [4 per cell]  8 Tc 3.42, 4 Cr 3.53
Cr (0.0000, 0.2500, 0.8750) [4 per cell]  4 Tc 2.34
Tc (0.0000, 0.0000, 0.0000) [8 per cell]  2 Cr 2.34, 2 Tc 2.49

Properties
Density of states at the Fermi level, states/eV per cell: 26.7

=====

Which one sits at the top of the stability order? version a does.

=====

Version a
Compound: Mg2SiB
Source: Alexandria
Functional: GGA-PBE
Structure: optimized geometry

a = 3.4138 Å, b = 3.9659 Å, c = 9.0838 Å
α = 90.00°, β = 90.00°, γ = 90.00°
Last column: nearest neighbours and their distance in Å.
Space group Amm2 (No. 38)
Unique sites:
Mg (0.0000, 0.0000, 0.0000) [2 per cell]  3 Si 2.69-2.73, 4 B 2.71
Mg (0.5000, 0.0000, 0.3042) [2 per cell]  1 B 2.49, 4 Si 2.78
Si (0.0000, 0.0000, 0.6998) [2 per cell]  2 B 2.03
B (0.5000, 0.0000, 0.5778) [2 per cell]  2 Si 2.03

Properties
Density of states at the Fermi level, states/eV per cell: 1.0

=====

Version b
Compound: Mg2SiB
Source: Alexandria
Functional: GGA-PBE
Structure: optimized geometry

a = 5.5722 Å, b = 3.3588 Å, c = 7.1031 Å
α = 90.00°, β = 106.16°, γ = 90.00°
Last column: nearest neighbours and their distance in Å.
>>>
Ba5Na4Ni | PBE | optimized geometry

Calculated values
Energy of formation   0.14 eV per formula unit

The structure in CIF format:
```
data_Ba5Na4Ni
_chemical_formula_sum 'Ba10 Na8 Ni2'
_cell_length_a 12.6725
_cell_length_b 12.6725
_cell_length_c 6.1328
_cell_angle_alpha 90.00
_cell_angle_beta 90.00
_cell_angle_gamma 90.00
_space_group_name_H-M_alt 'I 4/m m m'
_space_group_IT_number 139
_space_group_name_Hall '-I 4 2'
loop_
_atom_site_label
_atom_site_fract_x
_atom_site_fract_y
_atom_site_fract_z
Ba1 0.0000 0.0000 0.0000
Ba2 0.1689 0.1689 0.5000
Na1 0.0000 0.3478 0.0000
Ni1 0.0000 0.0000 0.5000
```

----------

Version a
Compound: Mg2HOs
Source: Alexandria
Functional: GGA-PBE
Structure: optimized geometry

a = 8.5300 Å, b = 4.3644 Å, c = 2.8884 Å
α = 90.00°, β = 98.33°, γ = 90.00°
Last column: nearest neighbours and their distance in Å.
Space group Cm (No. 8)
Unique sites:
Mg (0.0000, 0.0000, 0.0000) [2 per cell]  1 H 2.17
Mg (0.1805, 0.5000, 0.6445) [2 per cell]  2 H 2.25
H (0.2330, 0.0000, 0.7817) [2 per cell]  2 Os 1.78
Os (0.3555, 0.0000, 0.3337) [2 per cell]  2 H 1.78

Properties
Density of states at the Fermi level, states/eV per cell: 4.9

=====

Version b
Compound: Mg2HOs
Source: Alexandria
Functional: GGA-PBE
Structure: optimized geometry

a = 4.7137 Å, b = 5.3750 Å, c = 5.5000 Å
α = 63.82°, β = 66.26°, γ = 64.95°
Last column: nearest neighbours and their distance in Å.
Space group P1 (No. 1)
Unique sites:
Mg (0.0000, 0.0000, 0.0000) [1 per cell]  2 H 2.04-2.25
Mg (0.0898, 0.4383, 0.4601) [1 per cell]  2 H 2.15-2.33
Mg (0.3876, 0.8077, 0.4765) [1 per cell]  2 H 2.36-2.57
Mg (0.7108, 0.6221, 0.9557) [1 per cell]  2 H 2.13-2.18
H (0.0179, 0.2722, 0.2060) [1 per cell]  2 Os 1.79-1.85
H (0.2549, 0.5952, 0.9707) [1 per cell]  1 Os 1.70
Os (0.4116, 0.2616, 0.9340) [1 per cell]  2 H 1.70-1.85
Os (0.7070, 0.1399, 0.4986) [1 per cell]  1 H 1.79

Properties
Density of states at the Fermi level, states/eV per cell: 0.7

=====

Which one sits at the top of the stability order? version b does.

=====

Version a
Compound: KCrTc2
Source: Alexandria
Functional: GGA-PBE
Structure: optimized geometry

a = 6.3178 Å, b = 6.3178 Å, c = 6.3178 Å
α = 90.00°, β = 90.00°, γ = 90.00°
Last column: nearest neighbours and their distance in Å.
Space group Fm-3m (No. 225)
Unique sites:
K (0.0000, 0.0000, 0.0000) [4 per cell]  8 Tc 2.74
Cr (0.0000, 0.0000, 0.5000) [4 per cell]  8 Tc 2.74
Tc (0.2500, 0.2500, 0.2500) [8 per cell]  4 Cr 2.74, 4 K 2.74

Properties
Density of states at the Fermi level, states/eV per cell: 23.9

=====

Version b
Compound: KCrTc2
Source: Alexandria
Functional: GGA-PBE
Structure: optimized geometry

a = 4.9868 Å, b = 4.9868 Å, c = 15.8181 Å
α = 90.00°, β = 90.00°, γ = 90.00°
Last column: nearest neighbours and their distance in Å.
Space group I4_1/amd (No. 141, origin choice 2)
Unique sites:
K (0.0000, 0.2500, 0.3750) [4 per cell]  8 Tc 3.42, 4 Cr 3.53
Cr (0.0000, 0.2500, 0.8750) [4 per cell]  4 Tc 2.34
Tc (0.0000, 0.0000, 0.0000) [8 per cell]  2 Cr 2.34, 2 Tc 2.49

Properties
Density of states at the Fermi level, states/eV per cell: 26.7

=====

Which one sits at the top of the stability order? version a does.

=====

Version a
Compound: Mg2SiB
Source: Alexandria
Functional: GGA-PBE
Structure: optimized geometry

a = 3.4138 Å, b = 3.9659 Å, c = 9.0838 Å
α = 90.00°, β = 90.00°, γ = 90.00°
Last column: nearest neighbours and their distance in Å.
Space group Amm2 (No. 38)
Unique sites:
Mg (0.0000, 0.0000, 0.0000) [2 per cell]  3 Si 2.69-2.73, 4 B 2.71
Mg (0.5000, 0.0000, 0.3042) [2 per cell]  1 B 2.49, 4 Si 2.78
Si (0.0000, 0.0000, 0.6998) [2 per cell]  2 B 2.03
B (0.5000, 0.0000, 0.5778) [2 per cell]  2 Si 2.03

Properties
Density of states at the Fermi level, states/eV per cell: 1.0

=====

Version b
Compound: Mg2SiB
Source: Alexandria
Functional: GGA-PBE
Structure: optimized geometry

a = 5.5722 Å, b = 3.3588 Å, c = 7.1031 Å
α = 90.00°, β = 106.16°, γ = 90.00°
Last column: nearest neighbours and their distance in Å.